[Assignment]
Search the rows below for the word "lumo_energy_ha" and repeat each line that has it.

[Excerpt]
<<<
1.
17
Properties=species:S:1:pos:R:3:mulliken_charge:R:1 method="wB97M-V/def2-TZVPD" charge=-1 homo_energy_ev=-2.8 smiles="NCN[C@@H](C=O)C[S-]" energy_ev=-20156.134 lumo_energy_ha=0.138 relative_energy_kcal_mol=62.59
N 0.399 -2.208 1.535 -0.735
C -0.652 -1.468 0.811 -0.427
N -0.387 -0.004 0.671 -0.387
C -0.044 0.519 -0.666 0.176
C -1.153 1.438 -1.171 -0.210
O -2.356 1.114 -1.244 -0.569
C 1.290 1.224 -0.417 -0.956
S 1.841 1.681 -2.198 -0.653
H 0.814 -1.753 2.349 0.265
H 1.234 -2.167 0.984 0.289
H -0.761 -2.121 -0.130 0.256
H -1.640 -1.428 1.231 0.400
H -1.193 0.562 0.962 0.292
H 0.191 -0.303 -1.531 0.271
H -0.908 2.447 -1.407 0.381
H 2.052 0.450 -0.032 0.208
H 1.273 2.017 0.253 0.400

2.
16
Properties=species:S:1:pos:R:3:mulliken_charge:R:1 method="wB97M-V/def2-TZVPD" charge=+1 homo_energy_ev=-13.1 smiles="CC(=S)[C@@H]1[NH2+][C@H]1N" energy_ev=-18100.326 lumo_energy_ha=-0.161 relative_energy_kcal_mol=73.82
C -1.816 1.690 0.116 -1.207
C -1.454 0.345 0.034 0.480
S -2.503 -0.891 0.116 -0.235
C 0.045 -0.037 -0.224 -0.684
N 0.366 -1.343 -0.721 -0.163
C 1.071 -0.899 0.549 0.226
N 2.397 -0.427 0.554 -0.422
H -2.124 2.150 -0.911 0.329
H -2.697 1.833 0.695 0.370
H -0.972 2.471 0.283 0.328
H 0.476 0.673 -0.762 0.510
H 0.805 -1.385 -1.610 0.283
H -0.269 -2.168 -0.504 0.330
H 0.904 -1.448 1.441 0.425
H 2.646 0.302 -0.176 0.205
H 3.124 -0.866 1.120 0.224

3.
16
Properties=species:S:1:pos:R:3:mulliken_charge:R:1 method="wB97M-V/def2-TZVPD" charge=+1 homo_energy_ev="-13.2 / -13.2" energy_ev=-18098.101 lumo_energy_ha="-0.173 / -0.239" relative_energy_kcal_mol=125.11
C 2.842 1.103 1.000 -0.193
C -0.775 -1.010 0.399 0.098
C 1.066 -1.345 -1.225 -0.932
C 0.513 -1.247 0.159 0.291
N 2.686 -0.076 0.774 -0.328
N -3.506 1.254 -0.003 -0.741
S -2.283 -0.820 0.642 -0.070
H 3.838 1.538 1.135 0.283
H 2.052 1.856 1.097 0.232
H 0.641 -2.221 -1.722 0.351
H 0.809 -0.471 -1.823 0.350
H 2.145 -1.460 -1.184 0.336
H 1.121 -1.624 0.971 0.439
H -4.351 1.157 0.542 0.313
H -3.741 1.235 -0.990 0.290
H -3.058 2.130 0.226 0.282

4.
16
Properties=species:S:1:pos:R:3:mulliken_charge:R:1 method="wB97M-V/def2-TZVPD" charge=+1 homo_energy_ev=-13.7 energy_ev=-18101.746 lumo_energy_ha=-0.178 relative_energy_kcal_mol=41.07
C 0.452 1.910 -0.843 -0.603
C 1.036 0.883 -1.512 -0.117
C 0.058 1.543 0.440 0.032
C 0.245 -0.306 2.064 -0.788
N 0.617 0.344 0.804 0.077
N -1.081 -2.167 -1.008 -0.646
S 1.463 -0.380 -0.406 0.190
H 0.170 2.796 -1.420 0.341
H 1.435 0.943 -2.533 0.399
H -0.609 2.190 1.041 0.405
H 0.262 0.467 2.795 0.372
H -0.742 -0.589 2.150 0.376
H 0.845 -1.187 2.159 0.277
H -1.507 -1.303 -0.930 0.217
H -1.831 -2.831 -0.806 0.233
H -0.813 -2.314 -1.994 0.238
>>>

[Outcome]
Properties=species:S:1:pos:R:3:mulliken_charge:R:1 method="wB97M-V/def2-TZVPD" charge=-1 homo_energy_ev=-2.8 smiles="NCN[C@@H](C=O)C[S-]" energy_ev=-20156.134 lumo_energy_ha=0.138 relative_energy_kcal_mol=62.59
Properties=species:S:1:pos:R:3:mulliken_charge:R:1 method="wB97M-V/def2-TZVPD" charge=+1 homo_energy_ev=-13.1 smiles="CC(=S)[C@@H]1[NH2+][C@H]1N" energy_ev=-18100.326 lumo_energy_ha=-0.161 relative_energy_kcal_mol=73.82
Properties=species:S:1:pos:R:3:mulliken_charge:R:1 method="wB97M-V/def2-TZVPD" charge=+1 homo_energy_ev="-13.2 / -13.2" energy_ev=-18098.101 lumo_energy_ha="-0.173 / -0.239" relative_energy_kcal_mol=125.11
Properties=species:S:1:pos:R:3:mulliken_charge:R:1 method="wB97M-V/def2-TZVPD" charge=+1 homo_energy_ev=-13.7 energy_ev=-18101.746 lumo_energy_ha=-0.178 relative_energy_kcal_mol=41.07